**Input:**
........
1.
{
  "formula": "C28H54ClN2O8",
  "method": "ωB97M-V/def2-TZVPD",
  "elements": ["H", "H", "O", "H", "C", "H", "C", "H", "H", "C", "H", "H", "H", "C", "C", "C", "H", "H", "C", "H", "C", "C", "H", "H", "H", "H", "C", "H", "H", "C", "H", "C", "C", "C", "C", "H", "H", "H", "H", "C", "H", "C", "O", "H", "H", "N", "C", "C", "H", "C", "H", "Cl", "H", "C", "H", "H", "H", "H", "H", "H", "C", "H", "O", "O", "H", "O", "H", "N", "H", "H", "H", "H", "C", "H", "O", "H", "C", "C", "H", "O", "H", "H", "H", "H", "C", "H", "C", "H", "H", "H", "H", "O", "C"],
  "coordinates": [[1.029, 12.839, 96.610], [2.124, 14.029, 96.307], [2.845, 12.821, 97.871], [5.992, 13.927, 101.018], [1.688, 8.705, 99.816], [3.117, 8.402, 103.439], [1.450, 6.805, 94.488], [2.860, 9.696, 99.262], [5.839, 13.223, 98.886], [5.036, 13.510, 101.183], [-0.664, 4.335, 92.680], [-2.721, 12.879, 99.302], [5.305, 3.584, 101.410], [-0.012, 3.686, 93.441], [3.862, 7.067, 99.300], [2.166, 13.049, 96.630], [-0.772, 12.995, 97.277], [2.880, 6.260, 102.326], [3.518, 7.484, 95.571], [1.734, 7.719, 93.812], [0.820, 5.045, 97.503], [1.301, 3.711, 99.461], [-2.712, 14.072, 97.950], [1.253, 13.855, 98.082], [2.884, 13.479, 101.118], [0.124, 2.693, 96.352], [2.576, 13.556, 100.034], [2.831, 5.362, 98.946], [1.116, 6.951, 97.251], [4.825, 12.701, 98.921], [1.439, 12.404, 97.909], [1.647, 4.803, 100.133], [-2.386, 14.055, 99.043], [1.882, 9.704, 100.578], [4.215, 12.890, 97.725], [1.124, 8.812, 98.752], [3.276, 13.345, 99.289], [-0.654, 11.824, 98.693], [0.256, 6.371, 92.998], [1.606, 6.160, 99.505], [0.767, 3.059, 93.028], [0.928, 5.845, 93.676], [0.469, 4.701, 94.270], [4.853, 11.651, 99.285], [1.698, 5.512, 93.158], [2.404, 9.577, 101.894], [4.486, 3.946, 100.712], [0.810, 2.580, 97.389], [0.797, 10.151, 103.213], [3.837, 5.707, 99.285], [1.873, 10.666, 100.148], [0.482, 9.898, 96.633], [-2.770, 14.627, 99.784], [2.685, 8.397, 102.471], [0.320, 5.141, 96.385], [5.271, 12.576, 101.577], [4.493, 12.032, 96.963], [1.596, 11.497, 102.425], [2.535, 12.595, 95.694], [4.752, 13.789, 97.449], [3.149, 9.007, 98.272], [3.516, 8.226, 94.817], [-0.955, 13.959, 99.149], [3.257, 7.622, 98.160], [0.719, 7.272, 95.256], [2.667, 6.329, 95.201], [-0.702, 2.805, 94.021], [0.748, 3.835, 98.200], [4.531, 14.344, 101.937], [4.375, 5.170, 98.464], [4.723, 7.408, 99.546], [2.439, 9.419, 97.427], [2.568, 7.216, 101.776], [1.805, 4.629, 101.212], [4.532, 5.311, 100.536], [3.467, 3.560, 101.144], [1.998, 7.285, 100.264], [0.937, 13.126, 98.482], [1.839, 2.210, 97.117], [1.347, 12.875, 99.803], [3.255, 7.240, 100.242], [0.296, 1.741, 97.957], [2.154, 10.594, 104.014], [4.159, 9.496, 97.999], [1.199, 6.160, 98.041], [1.235, 2.737, 99.754], [-0.363, 12.918, 98.348], [4.733, 7.498, 95.864], [3.114, 8.148, 96.384], [2.581, 14.582, 99.995], [4.631, 3.385, 99.850], [4.241, 13.624, 99.970], [1.740, 10.514, 102.836]],
  "mulliken_charge": [0.14, 0.46, -0.23, 0.42, -0.12, 0.50, 0.23, -0.24, 0.46, -1.00, 0.32, 0.25, 0.30, -0.82, -2.11, -1.27, 0.41, 0.23, -0.92, 0.34, -0.25, -0.88, 0.26, 1.76, -0.39, 0.08, 0.02, 0.80, -0.42, -0.88, 1.30, -0.70, -0.77, -0.91, -0.28, 0.60, 0.20, 0.07, 0.46, 0.39, 0.31, -1.18, -0.17, 0.09, 0.51, 0.52, -0.74, -0.80, 0.40, -0.39, 0.76, -0.51, 0.35, -0.87, 0.29, 0.38, 0.24, 0.28, 0.33, 0.33, -0.76, 0.56, -0.37, 0.14, 0.18, -0.35, 0.23, 0.18, 0.31, 0.79, 1.43, -0.43, -0.77, 0.87, -0.38, 0.19, 0.09, -2.25, 0.32, -0.44, 0.27, 0.40, 0.31, 0.15, 0.92, 0.62, -0.08, 0.19, 0.93, 0.55, 0.40, -0.12, -1.02],
  "orbital_gap_ev": 2.4,
  "lumo_ev": -5.79,
  "e_above_lowest_kcal_mol": 878.43,
  "total_energy_ev": -61748.76544,
  "total_charge": 1,
  "spin_multiplicity": 1
}

2.
{
  "formula": "C28H54F8N11O18S8",
  "method": "ωB97M-V/def2-TZVPD",
........
**Exercise:**
Retype every line earlier on that contains the word "Cl".
**Response:**
  "elements": ["H", "H", "O", "H", "C", "H", "C", "H", "H", "C", "H", "H", "H", "C", "C", "C", "H", "H", "C", "H", "C", "C", "H", "H", "H", "H", "C", "H", "H", "C", "H", "C", "C", "C", "C", "H", "H", "H", "H", "C", "H", "C", "O", "H", "H", "N", "C", "C", "H", "C", "H", "Cl", "H", "C", "H", "H", "H", "H", "H", "H", "C", "H", "O", "O", "H", "O", "H", "N", "H", "H", "H", "H", "C", "H", "O", "H", "C", "C", "H", "O", "H", "H", "H", "H", "C", "H", "C", "H", "H", "H", "H", "O", "C"],